Next, find "-2.20" and "-2.55 1.39" in the rows below, and retype these two lines and those between.
........
Entry 1:
# C19H22BrClFNO4

The molecule C19H22BrClFNO4 (the ωB97M-V functional and the def2-TZVPD basis, OMol25).

The HOMO-LUMO gap comes out at 8.98 eV. The calculation puts the LUMO energy at -0.79 eV. As for the HOMO energy: -9.8 eV. The SMILES is CCCCCc1c(Br)c(C[C@H](C)Cl)c2c(c1COC(C)=O)C(=O)N(F)C2=O.

Structure (ORCA input):
```
! wB97M-V def2-TZVPD RIJCOSX def2/J DEFGRID3
* xyz 0 1
C 0.24 -1.95 2.07
C -0.04 -2.81 0.82
C 1.18 -3.04 -0.11
C 0.85 -2.75 -1.59
C 1.10 -1.30 -2.01
C 0.26 -0.28 -1.30
C -1.11 -0.12 -1.60
Br -1.86 -1.24 -2.95
C -1.95 0.80 -0.96
C -3.41 0.96 -1.29
C -4.37 0.43 -0.20
C -3.73 -0.43 0.89
Cl -5.67 -0.54 -1.00
C -1.36 1.60 0.02
C -0.02 1.46 0.34
C 0.82 0.56 -0.30
C 2.29 0.50 0.07
O 2.80 1.83 0.23
C 3.97 2.05 -0.44
C 5.18 2.12 0.44
O 3.99 2.19 -1.62
C 0.24 2.42 1.47
O 1.09 2.45 2.28
N -0.90 3.30 1.52
F -0.64 4.60 1.12
C -1.98 2.68 0.83
O -3.13 2.96 0.93
H -0.45 -1.11 2.10
H 0.06 -2.52 2.98
H 1.26 -1.59 2.06
H -0.37 -3.78 1.17
H -0.87 -2.40 0.25
H 1.46 -4.09 -0.05
H 2.05 -2.47 0.21
H 1.48 -3.40 -2.20
H -0.17 -3.08 -1.75
H 0.93 -1.20 -3.08
H 2.15 -1.11 -1.85
H -3.67 0.49 -2.22
H -3.61 2.02 -1.42
H -4.88 1.25 0.28
H -3.43 0.19 1.73
H -4.50 -1.10 1.27
H -2.93 -1.06 0.53
H 2.41 -0.02 1.02
H 2.86 0.01 -0.70
H 5.01 2.89 1.19
H 5.31 1.19 0.97
H 6.04 2.41 -0.15
*
```



Entry 2:
# C9H12ClN4PdS

A structure of composition C9H12ClN4PdS (the ωB97M-V functional and the def2-TZVPD basis, OMol25).

The HOMO-LUMO gap comes out at 7.50 eV. Its energy relative to the best compared isomer or geometry (same formula, charge and spin) is 1.0850 eV. The calculation puts the LUMO energy at -3.78 eV. As for the HOMO energy: -11.3 eV.

Structure (ORCA input):
```
! wB97M-V def2-TZVPD RIJCOSX def2/J DEFGRID3
* xyz 1 1
Pd -1.18 0.90 1.07
C 2.22 -0.52 -1.57
C 0.95 -0.30 -0.80
N 0.43 0.83 -0.53
N 0.89 2.01 -0.97
C 0.24 3.14 -0.61
N 0.78 4.29 -1.01
S -1.24 3.16 0.22
C 0.15 -1.46 -0.34
C 0.58 -2.78 -0.48
C -0.27 -3.80 -0.11
C -1.54 -3.50 0.35
C -1.89 -2.17 0.48
N -1.06 -1.18 0.17
H 2.68 0.42 -1.89
H 2.03 -1.13 -2.45
H 2.94 -1.04 -0.94
H 1.72 2.06 -1.54
H 1.66 4.36 -1.50
H 0.31 5.14 -0.75
H 1.56 -3.00 -0.88
H 0.05 -4.83 -0.18
H -2.24 -4.28 0.61
H -2.86 -1.88 0.86
Cl -1.67 -0.13 3.33
C -1.67 1.57 2.94
H -0.89 2.10 3.47
H -2.66 2.00 3.05
*
```



Entry 3:
# C9H10N2O3S

The molecule C9H10N2O3S (the ωB97M-V functional and the def2-TZVPD basis, OMol25).

The HOMO-LUMO gap (spin up / spin down) comes out at 7.50 / 7.23 eV. Its energy relative to the best compared isomer or geometry (same formula, charge and spin) is 3.1967 eV. The calculation puts the LUMO energy (spin up / spin down) at 0.65 / -2.01 eV. As for the HOMO energy (spin up / spin down): -6.8 / -9.2 eV.

Structure (ORCA input):
```
! wB97M-V def2-TZVPD RIJCOSX def2/J DEFGRID3
* xyz 0 3
C -1.53 1.65 -1.59
C -0.29 1.73 -0.80
C -2.55 1.39 -0.80
C -0.54 1.34 0.49
C 2.49 0.70 -0.01
C -0.50 -2.01 1.23
C 1.93 -0.44 -0.78
C 0.48 1.22 1.48
C -1.33 -2.66 0.10
N 1.78 1.27 1.09
N 0.60 -1.30 0.82
O 3.63 1.01 -0.14
O -0.81 -2.16 2.38
O 0.67 -1.05 -0.56
S -2.17 0.86 0.79
H -1.49 1.74 -2.68
H 0.63 2.17 -1.18
H -3.54 1.44 -1.03
H 1.81 -0.10 -1.91
H 2.57 -1.29 -0.59
H 0.14 1.09 2.43
H -0.58 -2.76 -0.72
H -2.09 -1.96 -0.25
H -1.72 -3.72 0.49
H 2.41 1.84 1.74
*
```



Entry 4:
# C45H45N9O3STa

A structure of composition C45H45N9O3STa (the ωB97M-V functional and the def2-TZVPD basis, OMol25).

The HOMO-LUMO gap comes out at 6.69 eV. Its energy relative to the best compared isomer or geometry (same formula, charge and spin) is 2.3345 eV. The calculation puts the LUMO energy at -2.52 eV. As for the HOMO energy: -9.2 eV.

Structure (ORCA input):
```
! wB97M-V def2-TZVPD RIJCOSX def2/J DEFGRID3
* xyz 1 1
Ta 0.02 0.28 -0.79
C 4.55 1.07 5.68
C 3.81 0.72 4.42
C 3.91 -0.52 3.82
C 3.23 -0.81 2.66
C 2.31 0.06 2.00
N 1.55 -0.43 0.92
C 1.88 -1.78 0.60
C 1.51 -2.89 1.38
C 1.74 -4.19 0.95
C 2.33 -4.45 -0.29
C 2.50 -5.86 -0.78
C 2.70 -3.37 -1.07
C 2.50 -2.08 -0.61
N 2.94 -1.00 -1.42
C 4.11 -0.95 -2.08
........
H 1.48 -3.40 -2.20
H -0.17 -3.08 -1.75
H 0.93 -1.20 -3.08
H 2.15 -1.11 -1.85
H -3.67 0.49 -2.22
H -3.61 2.02 -1.42
H -4.88 1.25 0.28
H -3.43 0.19 1.73
H -4.50 -1.10 1.27
H -2.93 -1.06 0.53
H 2.41 -0.02 1.02
H 2.86 0.01 -0.70
H 5.01 2.89 1.19
H 5.31 1.19 0.97
H 6.04 2.41 -0.15
*
```



Entry 2:
# C9H12ClN4PdS

A structure of composition C9H12ClN4PdS (the ωB97M-V functional and the def2-TZVPD basis, OMol25).

The HOMO-LUMO gap comes out at 7.50 eV. Its energy relative to the best compared isomer or geometry (same formula, charge and spin) is 1.0850 eV. The calculation puts the LUMO energy at -3.78 eV. As for the HOMO energy: -11.3 eV.

Structure (ORCA input):
```
! wB97M-V def2-TZVPD RIJCOSX def2/J DEFGRID3
* xyz 1 1
Pd -1.18 0.90 1.07
C 2.22 -0.52 -1.57
C 0.95 -0.30 -0.80
N 0.43 0.83 -0.53
N 0.89 2.01 -0.97
C 0.24 3.14 -0.61
N 0.78 4.29 -1.01
S -1.24 3.16 0.22
C 0.15 -1.46 -0.34
C 0.58 -2.78 -0.48
C -0.27 -3.80 -0.11
C -1.54 -3.50 0.35
C -1.89 -2.17 0.48
N -1.06 -1.18 0.17
H 2.68 0.42 -1.89
H 2.03 -1.13 -2.45
H 2.94 -1.04 -0.94
H 1.72 2.06 -1.54
H 1.66 4.36 -1.50
H 0.31 5.14 -0.75
H 1.56 -3.00 -0.88
H 0.05 -4.83 -0.18
H -2.24 -4.28 0.61
H -2.86 -1.88 0.86
Cl -1.67 -0.13 3.33
C -1.67 1.57 2.94
H -0.89 2.10 3.47
H -2.66 2.00 3.05
*
```



Entry 3:
# C9H10N2O3S

The molecule C9H10N2O3S (the ωB97M-V functional and the def2-TZVPD basis, OMol25).

The HOMO-LUMO gap (spin up / spin down) comes out at 7.50 / 7.23 eV. Its energy relative to the best compared isomer or geometry (same formula, charge and spin) is 3.1967 eV. The calculation puts the LUMO energy (spin up / spin down) at 0.65 / -2.01 eV. As for the HOMO energy (spin up / spin down): -6.8 / -9.2 eV.

Structure (ORCA input):
```
! wB97M-V def2-TZVPD RIJCOSX def2/J DEFGRID3
* xyz 0 3
C -1.53 1.65 -1.59
C -0.29 1.73 -0.80
C -2.55 1.39 -0.80